Board Office Conference Room
Monday, June 16, 2014
# 1
Computed, not measured: C22H24ClN3O6PdS as an isolated structure in a non-equilibrium geometry, with wB97M-V/def2-TZVPD.

XYZ file:
```
58
Properties=species:S:1:pos:R:3:forces:R:3:lowdin_spin:R:1
Pd 0.3958 0.0515 0.1991 0.3 1.1 -0.4 1.4427
C 3.6135 2.3779 0.4645 0.0 0.1 0.1 -0.0012
C 2.2220 2.8990 0.3477 -0.2 0.3 0.2 0.0020
N 1.1413 2.1839 0.2104 0.1 -0.2 0.1 0.1357
C 0.0448 3.0429 0.1333 0.6 0.2 0.2 0.1509
C 0.5074 4.3787 0.2966 0.5 -0.5 -0.1 0.1789
N 1.9061 4.2229 0.4009 -0.1 -0.1 0.0 0.0872
C -0.0649 5.6573 0.3923 0.1 0.7 0.2 0.1298
O -1.4187 5.7387 0.3153 0.3 0.3 0.1 0.0512
O 0.6246 6.6865 0.5726 -0.4 -0.5 -0.1 0.1300
C -1.2195 2.5000 -0.1456 -0.7 0.1 -0.3 0.1100
O -2.2545 3.2110 -0.2402 0.3 -0.3 0.1 0.1148
O -1.2690 1.1835 -0.3398 0.0 -0.1 0.1 0.2952
H 3.5981 1.3112 0.2517 0.0 0.0 0.0 0.0000
H 4.0193 2.5516 1.4699 -0.1 0.0 -0.1 -0.0006
H 4.2755 2.8759 -0.2503 0.0 0.0 0.0 -0.0002
H 2.5185 5.0095 0.5240 0.0 0.0 0.0 0.0068
H -1.7822 4.8352 0.1531 -0.2 -0.3 -0.2 -0.0008
O -1.2256 -1.5518 -0.1817 0.2 0.7 -1.0 0.2143
N -1.3817 -2.3690 0.7569 0.0 -0.5 0.5 0.0642
C -2.6304 -2.5818 1.2186 -0.6 -0.3 0.5 -0.0303
C -2.8703 -3.5451 2.1652 -0.3 0.3 -0.2 0.0504
C -1.8201 -4.3187 2.6567 -0.2 -0.2 0.2 -0.0203
C -0.5577 -4.0782 2.2073 0.5 0.2 -0.3 0.0473
C -0.3038 -3.0457 1.2793 0.2 -0.4 0.2 0.0472
S 1.2471 -2.5035 0.8586 0.0 0.1 0.1 0.6025
H -3.3739 -1.9365 0.7719 0.1 -0.1 0.0 -0.0019
H -3.8836 -3.6936 2.5117 0.0 0.0 0.0 0.0038
H -2.0013 -5.0931 3.3898 0.0 0.0 0.0 -0.0019
H 0.2888 -4.6394 2.5783 0.0 0.0 -0.1 0.0035
Cl -2.5751 1.3089 2.8092 0.1 0.0 0.0 0.0170
C -1.0786 2.1198 3.1744 0.0 0.0 0.0 0.0935
C -1.1289 3.4636 3.4915 0.0 -0.1 -0.1 -0.0112
C 0.0437 4.1414 3.7966 0.0 0.0 0.0 0.1103
C 1.2602 3.4623 3.8075 0.0 -0.1 -0.1 -0.0024
C 1.3034 2.1230 3.4697 0.2 0.2 0.0 0.0924
C 0.1410 1.4062 3.1304 -0.2 -0.2 0.0 0.0356
C 0.2168 0.0363 2.7501 -0.1 0.2 0.5 0.4437
H -2.0761 3.9841 3.4550 0.0 0.0 0.0 -0.0025
H 0.0069 5.2047 4.0013 0.0 -0.1 0.0 0.0066
H 2.1736 3.9924 4.0453 0.0 0.0 0.0 -0.0014
H 2.2529 1.5948 3.4317 -0.1 0.1 0.0 0.0033
H -0.7007 -0.5321 2.7738 -0.1 -0.1 -0.2 0.0278
H 1.1250 -0.5050 2.9702 0.1 0.0 -0.1 0.0267
C 1.7052 0.8299 -2.8328 0.0 0.1 0.0 0.0043
C 2.2348 -0.4285 -2.1417 0.2 0.0 0.2 0.0173
C 1.3979 -1.6354 -2.5824 0.1 -0.1 0.1 0.0107
C 3.6878 -0.6619 -2.5521 0.2 0.0 0.0 0.0146
O 2.2487 -0.2594 -0.7413 -0.3 -0.5 -0.5 0.2933
H 1.7362 0.7193 -3.9226 0.0 0.0 0.1 0.0000
H 2.3064 1.6947 -2.5423 0.0 0.0 0.0 0.0001
H 0.6769 1.0280 -2.5305 -0.1 0.0 0.0 -0.0005
H 1.4321 -1.7653 -3.6693 0.0 0.0 0.1 -0.0001
H 0.3576 -1.5050 -2.2892 -0.1 0.0 0.0 0.0005
H 1.7827 -2.5478 -2.1077 0.0 0.1 -0.1 0.0061
H 3.7693 -0.8239 -3.6322 0.0 0.0 0.1 0.0028
H 4.0847 -1.5386 -2.0284 0.0 0.1 -0.1 0.0001
H 4.2919 0.2076 -2.2770 0.0 -0.1 0.0 0.0002
```
Forces are in eV/Å.
- 7:00pm
Board Policy Manual Section 0164
Jennifer Economus, Allerton Hill
Recommendation of Superintendent Glenna R. Cannon that the temporary appropriations as presented by Treasurer Linda Schumacher, be approved.
Recommendation of Supeirntendent Glenna R. Cannon that the following personnel recommendations be approved:
Recommendation of Superintendent Glenna R. Cannon that the changes to the Hourly Pay Schedule for employees not covered by Master Agreement be approved.
Recommendation of Superintendent Glenna R. Cannon that the following administrators be approved as Evaluators for Ohio Teacher's Evaluation System (OTES) for the 2014-2015 school year, upon successful completion of the required OTES refresher course.
Approve Glenna R. Cannon, Superintendent as evaluator for the 2014-2015 school year for the Ohio Principal's Evaluation System (OPES).
Recommendation of Superintendent Glenna R. Cannon that the contracted services of Dena Kirby as Supervisor for the 2014-2015 school year through Mid-Ohio Education Service Center be approved.
Recommendaton of Superintendent Glenna R. Cannon that the following students be approved for $100 Participation Award for the involvement in the 2014 Migrant Career Exploration Event.
• Quantum chemistry results from another source follow:
~~~
A 2-piece molecular cluster, C8H12N2O2 overall in a non-equilibrium geometry. Source: the Open Molecules 2025 dataset; level of theory: the ωB97M-V functional and the def2-TZVPD basis.

For the gap between HOMO and LUMO, the calculation gives 9.878 eV. The energy comes out at -15559.34835 eV. The energy above the lowest of the compared OMol25 structures with the same formula, charge and spin is 7.561 eV. The molar mass comes out at 168.20 g/mol. The SMILES is C#COC(C)(C)C.N#C/C=N\O. For the HOMO energy, the calculation gives -9.54 eV.

Geometry as ORCA input:
```
! wB97M-V def2-TZVPD RIJCOSX def2/J DEFGRID3
* xyz 0 1
N 3.2241 -0.0287 -0.8084
C 3.0613 0.4600 0.2097
C -1.0468 0.2228 -0.6388
O 1.8741 -0.6361 2.6178
H -1.8110 -1.5470 -1.3930
C 2.7270 1.1409 1.4115
H -0.8855 -0.6251 -2.6954
H 2.9651 2.0982 1.3940
H -2.0615 1.0712 1.2191
H -2.6486 -0.4519 -2.1504
H -3.0623 0.8428 -0.0320
H 0.4232 -3.7294 1.0341
N 2.2644 0.6160 2.4745
C -0.0195 -1.6409 0.3514
H -2.2138 -0.6156 0.8790
O 0.0633 -0.4165 -0.0621
H 0.0378 1.9767 -0.3157
H -1.2425 2.3876 -1.4370
C -2.1630 0.4229 0.3805
C -0.4650 1.5564 -1.1978
H 0.2974 1.3880 -2.1040
~~~
• The piece goes on:
STUDENTS: Haley Banks, Brittany Bowron, Katelyn Bradshaw, Justin Campbell, Jenna Campo, Morgan Collins, Jeremiah Dowell, Lucas Earhart, Erin Evatt, Leanna Gifford, Marissa Kitchin, Katelyn Knight, Jenna Lane, Doug Meadows, Abigail Melton, Nick Myers, Marissa Patrick, Kayla Peters, Augustin Ramirez, Alexis Rhodes, Cierra Roberts, Brooke Rowe, Joe Smith, Taylor Smith, Grace Walker, Alexis Ward, Alexis Washburn and Kyle Wills.
Recommendation of Superintendent Glenna R. Cannon that the Enterprise Zone Compensation agreement be approved with the City of Willard for the Star of the West Milling Company.
Recommendation of Superintendent Glenna R. Cannon that the following donations be accepted:
+++
Density functional theory data (ωB97M-V with the def2-TZVPD basis set) for a cluster of 12 separate species, C48H72O24 in total in a non-equilibrium geometry.

HOMO   -10.08 eV
Gap between HOMO and LUMO   10.50 eV
SMILES   O=C1CCCO1.O=C1CCCO1.O=C1CCCO1.O=C1CCCO1.O=C1CCCO1.O=C1CCCO1.O=C1CCCO1.O=C1CCCO1.O=C1CCCO1.O=C1CCCO1.O=C1CCCO1.O=C1CCCO1

Structure (XYZ):
```
144
Properties=species:S:1:pos:R:3:forces:R:3:lowdin_charge:R:1
H -2.3631 -6.2772 2.7555 -0.91 -0.29 -0.63 0.1302
H -2.6090 5.2533 4.3007 -1.45 1.61 0.73 0.1086
O -2.6146 -3.7485 3.9044 -0.03 -0.71 -0.27 0.0978
O 2.1900 -4.7803 0.4094 -0.81 -1.12 -0.80 0.0504
C -3.8226 -1.0449 2.5783 2.82 1.39 0.08 -0.1295
H 5.1368 -3.6908 0.1648 -0.49 -0.24 0.25 0.1297
C 4.6054 1.9083 -2.4055 -3.12 -0.23 1.45 -0.1448
H 1.4204 -5.0044 4.2077 -0.64 0.69 0.32 0.1413
C -1.0051 2.1633 -4.1027 -1.40 -1.75 -0.45 -0.4603
H -0.9053 -1.6610 3.9411 -0.17 0.08 0.07 0.0837
C -2.2534 4.3775 3.8845 -0.16 -1.89 -0.93 -0.0776
O -3.4281 -1.3497 1.2274 -0.50 0.34 -0.20 0.0182
O -1.9790 -7.3070 1.0249 -0.03 0.15 -0.27 0.0304
H -2.6805 1.4038 -6.2639 -0.98 0.57 -0.74 0.0861
C 3.7355 2.1893 2.4258 -0.82 0.49 -0.80 -0.0412
C 3.2572 -4.3221 1.0118 -0.28 3.48 2.55 -0.5230
H 5.4303 2.6759 -0.5480 0.28 -0.45 -0.31 0.1238
H 4.5476 2.8965 2.1883 -0.12 -0.54 0.14 0.1228
H -0.4362 2.3738 3.3791 0.39 -0.10 -0.19 0.0970
C 1.2363 5.1104 -0.9329 0.72 -0.03 -3.08 -0.1915
H -5.9733 3.2385 -2.4969 -0.60 -0.76 -0.63 0.1136
H 5.0674 -5.3674 0.8018 -0.35 0.60 -0.29 0.1435
H 1.7757 -5.3042 -1.5033 0.04 0.07 -0.43 0.0951
C 3.1040 -0.1413 2.5176 -0.12 0.05 -2.19 -0.0896
H -0.9190 -1.3888 -0.0199 -0.20 -0.32 0.26 0.0929
H 0.2090 -4.4341 -4.2333 -0.18 0.57 0.58 0.1430
O 2.7802 6.3566 0.3132 -0.91 0.06 0.22 0.0138
O -4.5840 3.0761 -4.1066 -1.18 -0.01 1.07 0.0433
H 1.1105 4.2117 -1.5111 -0.01 -0.06 -0.78 0.1046
C 0.2167 0.1339 -1.0491 1.45 1.33 0.40 -0.1088
H -4.3113 -1.8703 2.9937 -0.79 -1.20 0.51 0.0980
C 5.5361 1.8287 -1.2480 1.72 0.20 0.20 -0.1665
H -0.7866 -2.5789 -1.9381 0.99 -0.63 0.03 0.1293
C -3.5394 5.0731 -3.4630 0.00 0.37 0.45 -0.0566
O -2.0126 1.3673 -3.6119 0.19 0.37 0.02 -0.0399
O -0.5071 1.5128 0.8449 0.33 -1.10 -0.35 -0.0077
H 1.7425 -2.1222 -1.5613 0.09 -0.08 -0.68 0.0953
C 0.7075 -2.9163 4.6483 1.56 1.21 0.16 -0.1398
C -1.9085 0.7956 -5.8807 0.26 -1.12 0.70 -0.1233
C 0.6092 -4.4251 4.7135 1.27 -0.57 -0.04 -0.1541
C 0.9951 -1.7509 -3.6785 1.58 0.07 1.81 -0.5006
H -3.5464 1.7386 1.3160 0.12 0.08 0.15 0.1202
C 2.6290 5.6438 -0.9524 1.78 0.28 1.23 -0.1234
C 4.3129 -0.1229 -1.1279 0.49 0.87 -0.90 -0.4649
O 1.8532 6.2176 2.3278 -0.28 0.28 1.83 0.1343
H -4.0547 -5.4254 0.3981 0.51 0.29 0.19 0.1311
C -2.9026 -6.4791 1.7916 0.29 -1.80 1.97 -0.1523
H -3.3661 -4.3835 1.6290 -0.02 0.65 0.73 0.0838
C -0.0485 -0.7760 0.1557 0.20 1.77 -0.30 -0.0576
H -2.4589 4.9754 -3.2629 -0.39 0.22 0.26 0.1255
C -2.4470 3.2285 4.8177 1.33 -0.44 2.35 -0.4677
H -3.7473 6.0650 -3.8816 0.23 -0.20 0.17 0.1301
O -3.2706 3.9626 -5.6193 -0.29 0.49 0.79 0.0998
+++
Recommendation of Superintendent Glenna R. Cannon that the following student participation in competitive events be approved:
FCCLA State Officer Meetings, Columbus, June 16-20, 2014
CRESTLINE HS STUDENT: Blake Miller. CHAPERONE: Kris Bruce, Instructor
FCCLA National Leadershi Conference, San Antonio, July 4-11, 2014
CRESTLINE HS STUDENTS: Blake Miller and Kayley Makeever. CHAPERONE: Kris Bruce, Advisor
OATFACS Conference, Columbus, August 3-6, 2014
Enter into Executive Session for the purpose of discussion of following item: